_Data_
____________
Record 1
La3RhO6: theoretical PXRD pattern (a wavelength of 1.5418 Å), based on a cell relaxed with GGA-PBE.
Peak positions follow from Bragg's law for the DFT cell and can differ from measured ones.

Largest 6 diffraction maxima, low angle first, 10 to 90 degrees two-theta:
two_theta	Rel. int.
25.5	414
28.0	1000
31.8	703
43.9	537
47.1	357
57.9	235

Structural model:
Lattice parameters (Å, degrees): 6.850 6.850 6.850 96.34 96.34 96.34
Sites, in units of the cell vectors:
La (0.086, 0.598, 0.771)
La (0.229, 0.914, 0.402)
La (0.402, 0.229, 0.914)
La (0.598, 0.771, 0.086)
La (0.771, 0.086, 0.598)
La (0.914, 0.402, 0.229)
Rh (0.000, 0.000, 0.000)
Rh (0.500, 0.500, 0.500)
O (0.067, 0.292, 0.933)
O (0.067, 0.933, 0.708)
O (0.199, 0.562, 0.439)
O (0.292, 0.933, 0.067)
O (0.438, 0.561, 0.801)
O (0.439, 0.199, 0.562)
O (0.561, 0.801, 0.438)
O (0.562, 0.439, 0.199)
O (0.708, 0.067, 0.933)
O (0.801, 0.438, 0.561)
O (0.933, 0.067, 0.292)
O (0.933, 0.708, 0.067)

---

Record 2
Ac2CdCl8: theoretical PXRD pattern (a wavelength of 1.5418 Å), based on a cell relaxed with GGA-PBE.
Peak positions follow from Bragg's law for the DFT cell and can differ from measured ones.

Largest 6 diffraction maxima, low angle first, 10 to 90 degrees two-theta:
two_theta	Rel. int.
13.0	1000
21.5	198
24.4	263
24.5	194
30.6	353
31.0	226

Structural model:
Lattice parameters (Å, degrees): 10.783 10.783 8.069 97.74 97.74 22.73
Sites, in units of the cell vectors:
Ac (0.155, 0.155, 0.330)
Ac (0.845, 0.845, 0.670)
Cd (0.500, 0.500, 0.000)
Cl (0.011, 0.011, 0.215)
Cl (0.242, 0.242, 0.671)
Cl (0.374, 0.374, 0.946)
Cl (0.394, 0.394, 0.484)
Cl (0.606, 0.606, 0.516)
Cl (0.626, 0.626, 0.054)
Cl (0.758, 0.758, 0.329)
Cl (0.989, 0.989, 0.785)

----------

[1]
Computed powder diffractogram
Compound: NpVH4
Radiation: copper Kα
Structure: the PBE geometry in Alexandria

Main lines, sorted by position (5 to 70 degrees two-theta):
2θ/deg	I (rel.)
20.20	89
33.43	36
35.24	100
40.76	26
41.02	26
46.12	23
53.70	24
53.90	20
54.88	13
60.93	21

Crystal structure
```
NpVH4
1.0
-2.2008 2.6804 3.8423
2.2008 -2.6804 3.8423
2.2008 2.6804 -3.8423
Np V H
2 2 8
Direct
0.4160 0.1660 0.2500 Np
0.5840 0.8340 0.7500 Np
0.1527 0.4027 0.7500 V
0.8473 0.5973 0.2500 V
0.0000 0.2623 0.2623 H
0.0000 0.7377 0.7377 H
0.1752 0.0000 0.6752 H
0.1752 0.5000 0.1752 H
0.5000 0.2623 0.7623 H
0.5000 0.7377 0.2377 H
0.8248 0.0000 0.3248 H
0.8248 0.5000 0.8248 H
```

---

[2]
Computed powder diffractogram
Compound: HOsPb2O6
Radiation: copper Kα
Structure: the PBE geometry in Alexandria

Main lines, sorted by position (5 to 70 degrees two-theta):
2θ/deg	I (rel.)
19.24	100
21.98	37
29.18	71
30.21	78
30.61	55
32.54	67
33.80	35
47.64	22
48.31	21
51.78	32

Crystal structure
```
HOsPb2O6
1.0
3.8364 -4.6800 0.0000
3.8364 4.6800 0.0000
-3.4442 0.0000 4.0446
H Os Pb O
1 1 2 6
Direct
0.0000 0.0000 0.0000 H
0.2995 0.2995 0.6749 Os
0.0425 0.6404 0.3090 Pb
0.6404 0.0425 0.3090 Pb
0.0511 0.0511 0.6836 O
0.0754 0.4860 0.6809 O
0.4018 0.4018 0.4575 O
0.4860 0.0754 0.6809 O
0.5670 0.5670 0.1068 O
0.9777 0.9777 0.1637 O
```

---

[3]
Computed powder diffractogram
Compound: Tl2HOsO6
Radiation: copper Kα
Structure: the PBE geometry in Alexandria

Main lines, sorted by position (5 to 70 degrees two-theta):
2θ/deg	I (rel.)
15.04	41
17.97	62
18.99	72
20.31	29
23.67	78
26.17	60
29.37	43
29.55	100
30.40	76
41.29	28

Crystal structure
```
Tl2HOsO6
1.0
5.9391 0.0000 0.0000
2.8032 5.3864 0.0000
2.1372 -0.6630 5.8919
Tl H Os O
2 1 1 6
Direct
0.0000 0.0000 0.0000 Tl
0.1185 0.4040 0.5064 Tl
0.6207 0.4676 0.7522 H
0.4140 0.7761 0.3916 Os
0.2655 0.6407 0.2561 O
0.2714 0.0530 0.2450 O
0.3076 0.6160 0.6379 O
0.3650 0.0019 0.6095 O
0.7623 0.6093 0.2581 O
0.7878 0.4045 0.7881 O
```

---

[4]
Computed powder diffractogram
Compound: P3HPb2O10
Radiation: copper Kα
Structure: the PBE geometry in Alexandria

Main lines, sorted by position (5 to 70 degrees two-theta):
2θ/deg	I (rel.)
14.51	100
19.00	56
21.45	44
23.73	43
23.91	38
24.18	60
26.08	37
29.23	61
____________
_Work order_
The reader should count the lines above that contain the word "the" and give the number alone.
_Response_
8